File >
........
[1]
A geometry-optimized Ba3BiPb2O9 structure, computed with PBE.

abc: 6.1698 6.1706 13.7939
angles: 102.70 102.71 89.87
Closest atoms and distances in Å follow each position.
Atoms (fractional coordinates):
Pb 0.6661 0.6662 0.3323  6 O 2.19-2.22
O 0.3823 0.8854 0.3173  1 Bi 2.19, 1 Pb 2.21
Ba 0.5834 0.0838 0.1651  6 O 2.78-3.07
Bi 0.1665 0.1667 0.3332  6 O 2.18-2.19
O 0.7243 0.7764 0.5005  1 Bi 2.19, 1 Pb 2.22
O 0.0489 0.5515 0.6497  1 Bi 2.19, 1 Pb 2.21
O 0.6104 0.5566 0.1665  2 Pb 2.19-2.20
O 0.2839 0.7839 0.0168  2 Pb 2.20
O 0.1076 0.0557 0.6658  1 Bi 2.18, 1 Pb 2.21
Ba 0.9192 0.4188 0.8363  7 O 2.83-3.13
Ba 0.7486 0.2486 0.4993  7 O 2.80-3.09
Bi 0.8335 0.8333 0.6668  6 O 2.18-2.19
Ba 0.4166 0.9162 0.8349  6 O 2.78-3.07
O 0.4417 0.3894 0.3339  1 Bi 2.18, 1 Pb 2.21
Ba 0.0808 0.5812 0.1637  7 O 2.83-3.13
O 0.2229 0.2770 0.0000  2 Pb 2.20
O 0.7161 0.2161 0.9832  2 Pb 2.20
O 0.8924 0.9443 0.3342  1 Bi 2.18, 1 Pb 2.21
O 0.9511 0.4485 0.3503  1 Bi 2.19, 1 Pb 2.21
O 0.3896 0.4434 0.8335  2 Pb 2.19-2.20
Pb 0.5000 0.5000 0.0000  6 O 2.20
O 0.0580 0.1103 0.1677  1 Bi 2.18, 1 Pb 2.21
O 0.6177 0.1146 0.6827  1 Bi 2.19, 1 Pb 2.21
Ba 0.2514 0.7514 0.5007  7 O 2.80-3.09
Pb 0.0000 0.0000 0.0000  6 O 2.20-2.21
O 0.5583 0.6106 0.6661  1 Bi 2.18, 1 Pb 2.21
O 0.9420 0.8897 0.8323  1 Bi 2.18, 1 Pb 2.21
Pb 0.3339 0.3338 0.6677  6 O 2.19-2.22
O 0.7771 0.7230 0.0000  2 Pb 2.20
O 0.2757 0.2236 0.4995  1 Bi 2.19, 1 Pb 2.22

Results
Density = 7.85 g cm⁻³
E_form = -2.16 eV per atom
Symmetry = P-1
Raw total energy = -0.215 Ha/atom

---

[2]
A geometry-optimized Ba5BiPb4O15 structure, computed with PBE.

abc: 6.1711 6.1725 25.4243
angles: 83.10 83.12 60.45
Closest atoms and distances in Å follow each position.
Atoms (fractional coordinates):
O 0.5879 0.7108 0.0503  2 Pb 2.20-2.21
Pb 0.0000 0.0000 0.5000  6 O 2.22
O 0.2675 0.7729 0.2576  2 Pb 2.19-2.22
O 0.3961 0.5065 0.6482  1 Bi 2.18, 1 Pb 2.25
Ba 0.5443 0.5539 0.8518  6 O 2.76-3.06
O 0.2072 0.0968 0.5499  1 Bi 2.20, 1 Pb 2.22
Pb 0.3999 0.4014 0.2985  6 O 2.19-2.25
O 0.8692 0.3710 0.9565  2 Pb 2.20-2.21
O 0.7325 0.2271 0.7424  2 Pb 2.19-2.22
O 0.6699 0.1709 0.0569  2 Pb 2.20-2.21
Pb 0.1999 0.1996 0.9005  6 O 2.20-2.22
O 0.1347 0.6280 0.5439  1 Bi 2.20, 1 Pb 2.22
Ba 0.0546 0.0481 0.3471  6 O 2.79-3.00
Pb 0.8001 0.8004 0.0995  6 O 2.20-2.22
O 0.7349 0.2270 0.2448  2 Pb 2.19-2.22
Ba 0.6524 0.6467 0.5508  7 O 2.78-3.11
O 0.2651 0.7730 0.7552  2 Pb 2.19-2.22
O 0.0721 0.5673 0.8560  2 Pb 2.20-2.21
Ba 0.7480 0.7552 0.2469  6 O 2.76-3.02
Ba 0.9454 0.9519 0.6530  6 O 2.79-3.00
Pb 0.6001 0.5986 0.7015  6 O 2.19-2.25
O 0.4720 0.9690 0.1571  2 Pb 2.20-2.22
Pb 0.1010 0.0999 0.1991  6 O 2.20-2.22
O 0.3301 0.8291 0.9431  2 Pb 2.20-2.21
Pb 0.8990 0.9001 0.8009  6 O 2.20-2.22
O 0.6039 0.4935 0.3518  1 Bi 2.18, 1 Pb 2.25
O 0.9325 0.4327 0.6426  1 Bi 2.18, 1 Pb 2.25
Pb 0.5000 0.5000 0.0000  6 O 2.21
O 0.8653 0.3720 0.4561  1 Bi 2.20, 1 Pb 2.22
O 0.5280 0.0310 0.8429  2 Pb 2.20-2.22
Ba 0.2520 0.2448 0.7531  6 O 2.76-3.02
O 0.9908 0.1131 0.8492  2 Pb 2.20-2.22
O 0.1872 0.3062 0.2515  2 Pb 2.19-2.22
Bi 0.7005 0.6999 0.3995  6 O 2.17-2.20
O 0.5323 0.0317 0.3455  1 Bi 2.17, 1 Pb 2.25
O 0.6642 0.1700 0.5560  1 Bi 2.20, 1 Pb 2.22
Ba 0.4557 0.4461 0.1482  6 O 2.76-3.06
O 0.4677 0.9683 0.6545  1 Bi 2.17, 1 Pb 2.25
O 0.9279 0.4327 0.1440  2 Pb 2.20-2.21
O 0.3358 0.8300 0.4440  1 Bi 2.20, 1 Pb 2.22
Ba 0.8547 0.8447 0.9506  5 O 2.76-2.91
Ba 0.1453 0.1553 0.0494  5 O 2.76-2.91
O 0.1308 0.6290 0.0435  2 Pb 2.20-2.21
O 0.4121 0.2892 0.9497  2 Pb 2.20-2.21
O 0.0092 0.8869 0.1508  2 Pb 2.20-2.22
Ba 0.3476 0.3533 0.4492  7 O 2.78-3.11
O 0.7928 0.9032 0.4501  1 Bi 2.20, 1 Pb 2.22
O 0.0675 0.5673 0.3574  1 Bi 2.18, 1 Pb 2.25
O 0.8128 0.6938 0.7485  2 Pb 2.19-2.22
Bi 0.2995 0.3001 0.6005  6 O 2.17-2.20

Results
Density = 7.82 g cm⁻³
E_form = -2.14 eV per atom
Symmetry = P-1
Raw total energy = -0.214 Ha/atom

---

[3]
A geometry-optimized Ba4BiPb3O12 structure, computed with PBE.

abc: 4.3687 4.3687 17.5416
angles: 90.00 90.00 90.00
........

What to do >
What is needed: find the line further up that holds "0.8990 0.9001", then print that line and all lines after it there.

Result >
Pb 0.8990 0.9001 0.8009  6 O 2.20-2.22
O 0.6039 0.4935 0.3518  1 Bi 2.18, 1 Pb 2.25
O 0.9325 0.4327 0.6426  1 Bi 2.18, 1 Pb 2.25
Pb 0.5000 0.5000 0.0000  6 O 2.21
O 0.8653 0.3720 0.4561  1 Bi 2.20, 1 Pb 2.22
O 0.5280 0.0310 0.8429  2 Pb 2.20-2.22
Ba 0.2520 0.2448 0.7531  6 O 2.76-3.02
O 0.9908 0.1131 0.8492  2 Pb 2.20-2.22
O 0.1872 0.3062 0.2515  2 Pb 2.19-2.22
Bi 0.7005 0.6999 0.3995  6 O 2.17-2.20
O 0.5323 0.0317 0.3455  1 Bi 2.17, 1 Pb 2.25
O 0.6642 0.1700 0.5560  1 Bi 2.20, 1 Pb 2.22
Ba 0.4557 0.4461 0.1482  6 O 2.76-3.06
O 0.4677 0.9683 0.6545  1 Bi 2.17, 1 Pb 2.25
O 0.9279 0.4327 0.1440  2 Pb 2.20-2.21
O 0.3358 0.8300 0.4440  1 Bi 2.20, 1 Pb 2.22
Ba 0.8547 0.8447 0.9506  5 O 2.76-2.91
Ba 0.1453 0.1553 0.0494  5 O 2.76-2.91
O 0.1308 0.6290 0.0435  2 Pb 2.20-2.21
O 0.4121 0.2892 0.9497  2 Pb 2.20-2.21
O 0.0092 0.8869 0.1508  2 Pb 2.20-2.22
Ba 0.3476 0.3533 0.4492  7 O 2.78-3.11
O 0.7928 0.9032 0.4501  1 Bi 2.20, 1 Pb 2.22
O 0.0675 0.5673 0.3574  1 Bi 2.18, 1 Pb 2.25
O 0.8128 0.6938 0.7485  2 Pb 2.19-2.22
Bi 0.2995 0.3001 0.6005  6 O 2.17-2.20

Results
Density = 7.82 g cm⁻³
E_form = -2.14 eV per atom
Symmetry = P-1
Raw total energy = -0.214 Ha/atom

---

[3]
A geometry-optimized Ba4BiPb3O12 structure, computed with PBE.

abc: 4.3687 4.3687 17.5416
angles: 90.00 90.00 90.00